## Excerpt
+++
# 1
The following is a DFT calculation (ωB97M-V/def2-TZVPD) of a molecular structure, C8H10 in a non-equilibrium geometry.

XYZ file:
```
18
Properties=species:S:1:pos:R:3:forces:R:3
C -2.508 0.237 0.594 0.9 3.6 -3.0
C -1.584 -0.341 -0.481 -1.3 -4.4 3.2
C -0.167 -0.217 -0.213 3.2 0.9 -0.9
C 0.467 1.082 -0.276 -6.4 2.1 -0.2
C 1.747 1.284 -0.035 1.8 -4.1 0.5
C 2.617 0.196 0.197 -3.3 -1.3 -1.0
C 2.102 -1.092 0.134 -5.9 8.6 -1.6
C 0.734 -1.277 -0.085 -1.7 -2.7 0.8
H -2.289 -0.112 1.590 -0.1 0.2 0.2
H -3.463 -0.040 0.158 -0.7 0.3 0.9
H -2.328 1.458 0.377 -0.9 -3.1 1.5
H -1.973 -1.430 -0.637 1.4 0.9 0.9
H -1.840 -0.106 -1.416 -0.9 2.4 -3.6
H -0.358 2.146 -0.431 2.8 -3.5 0.4
H 2.274 2.113 -0.040 1.5 4.7 -0.2
H 3.628 0.331 0.257 2.5 0.5 0.5
H 2.628 -1.808 0.322 6.1 -8.2 1.8
H 0.313 -2.423 -0.017 1.0 3.1 -0.4
```
Forces are in eV/Å.

* E_HOMO: -8.950 eV
* orbital gap: 10.0 eV
* energy above the lowest of the compared OMol25 structures with the same formula, charge and spin: 338.53 kJ/mol

Okay, here come the Löwdin numbers, in e, for every atom: number 1, C, carries -0.09; number 2, C, carries -0.29; number 3, C, carries -0.26; number 4, C, carries -0.05; number 5, C, carries -0.12; number 6, C, carries -0.04; number 7, C, carries -0.07; number 8, C, carries -0.03; number 9, H, carries 0.07; number 10, H, carries 0.06; number 11, H, carries 0.12; number 12, H, carries 0.14; number 13, H, carries 0.06; number 14, H, carries 0.19; number 15, H, carries 0.05; number 16, H, carries 0.07; number 17, H, carries 0.00; number 18, H, carries 0.16

# 2
The following is a DFT calculation (ωB97M-V/def2-TZVPD) of a molecular structure, C8H10 in a non-equilibrium geometry.

XYZ file:
```
18
Properties=species:S:1:pos:R:3:forces:R:3
C -2.866 -0.091 0.136 -4.6 1.4 -1.3
C -1.430 -0.119 -0.269 -0.9 6.3 1.7
C -0.764 1.194 -0.310 3.6 -0.8 1.6
C 0.663 1.174 0.103 -4.7 0.9 -1.4
C 1.391 0.041 0.218 1.7 -1.1 -4.1
C 2.928 -0.032 -0.049 -0.9 1.0 3.0
C 0.749 -1.091 -0.227 0.2 -2.8 4.3
C -0.662 -1.168 -0.120 4.9 1.6 -1.8
H -3.213 1.284 -0.050 0.6 -4.7 0.7
H -3.475 -0.815 -0.773 1.2 2.2 3.2
H -3.434 -0.452 1.572 2.1 0.9 -4.4
H -1.133 2.237 -0.493 -0.4 -1.5 0.3
H 1.165 2.055 0.259 0.8 2.4 0.2
H 3.204 -1.063 -0.018 0.3 -0.8 0.8
H 3.197 0.169 -1.068 0.0 1.2 -0.3
H 3.418 0.559 0.797 0.1 -0.7 -1.7
H 1.424 -1.917 0.210 -1.6 0.0 -1.8
H -1.161 -1.966 0.082 -2.4 -5.6 1.0
```
Forces are in eV/Å.

* E_HOMO: -8.755 eV
* orbital gap: 9.1 eV
* energy above the lowest of the compared OMol25 structures with the same formula, charge and spin: 644.18 kJ/mol

Okay, here come the Löwdin numbers, in e, for every atom: number 1, C, carries -0.14; number 2, C, carries -0.41; number 3, C, carries 0.02; number 4, C, carries -0.05; number 5, C, carries -0.30; number 6, C, carries -0.04; number 7, C, carries -0.04; number 8, C, carries -0.09; number 9, H, carries 0.15; number 10, H, carries 0.12; number 11, H, carries 0.20; number 12, H, carries 0.11; number 13, H, carries 0.07; number 14, H, carries 0.04; number 15, H, carries 0.07; number 16, H, carries 0.10; number 17, H, carries 0.13; number 18, H, carries 0.06

# 3
The following is a DFT calculation (ωB97M-V/def2-TZVPD) of 2 unconnected molecules or ions with the total composition C8H10 in a non-equilibrium geometry.

XYZ file:
```
18
Properties=species:S:1:pos:R:3:forces:R:3
C -2.668 -2.184 -1.717 -1.1 0.2 -0.3
C -2.175 -1.755 -0.709 0.8 -0.9 0.0
C 1.279 0.814 -0.976 -1.2 -6.0 -3.0
C -0.256 -0.587 0.163 0.4 0.8 1.5
C 1.472 1.754 -0.170 1.0 3.8 1.0
C -1.333 -1.465 0.410 3.6 3.9 -3.2
C 2.507 2.890 -0.427 0.4 -0.9 0.9
C -1.627 -2.061 1.710 -0.3 1.4 -0.2
H -3.328 -2.412 -2.528 0.4 0.0 0.1
H 1.880 0.343 -1.852 -1.6 1.1 1.6
H 0.285 -0.084 1.020 -0.7 -1.4 -0.6
H 0.809 1.828 0.669 -0.1 0.3 0.6
H 2.750 3.004 -1.494 0.1 -0.4 0.4
H 3.438 2.589 0.185 -1.3 1.0 -1.0
H 2.093 3.876 -0.137 0.3 -0.6 0.3
H -1.679 -3.077 1.475 -0.4 -1.9 0.4
H -2.582 -1.629 1.956 -0.6 -0.3 0.8
H -0.865 -1.844 2.423 0.4 0.1 0.6
```
Forces are in eV/Å.
+++

## Activity
What is needed: restate the lines further up from the one with "-0.9 0.9" to the one with "-1.679 -3.077" character by character.

## Written answer
C 2.507 2.890 -0.427 0.4 -0.9 0.9
C -1.627 -2.061 1.710 -0.3 1.4 -0.2
H -3.328 -2.412 -2.528 0.4 0.0 0.1
H 1.880 0.343 -1.852 -1.6 1.1 1.6
H 0.285 -0.084 1.020 -0.7 -1.4 -0.6
H 0.809 1.828 0.669 -0.1 0.3 0.6
H 2.750 3.004 -1.494 0.1 -0.4 0.4
H 3.438 2.589 0.185 -1.3 1.0 -1.0
H 2.093 3.876 -0.137 0.3 -0.6 0.3
H -1.679 -3.077 1.475 -0.4 -1.9 0.4